Page 26 of Baca

“We’re on it. I tell you, they’re so close I can taste them.”

(What comes next are records of molecules, not part of the page)
........
w) This record from the Open Molecules 2025 dataset describes a cluster of 2 separate species, C2H3NO2 in total. The level of theory is ωB97M-V with the def2-TZVPD basis set.

Geometry as XYZ:
```
8
Properties=species:S:1:pos:R:3
O -1.05569 1.30066 0.67242
O -1.74651 -0.69331 -0.31601
N -0.82199 -0.86030 0.83124
C -1.19561 0.57660 -0.53198
C -0.12327 0.36897 0.44074
H -0.37944 -1.76212 0.69633
H -1.07912 1.10066 -1.37581
H 2.15741 0.37648 0.51522
```

Spin multiplicity: 1
Net charge: 0
HOMO-LUMO gap (spin up / spin down): 8.73 / 9.03 eV
LUMO level (spin up / spin down): -0.0494 / -0.0269 hartree
HOMO level (spin up / spin down): -10.071 / -9.765 eV

---

x) This record from the Open Molecules 2025 dataset describes the molecule C2H3NO2. The level of theory is ωB97M-V with the def2-TZVPD basis set.

Geometry as XYZ:
```
8
Properties=species:S:1:pos:R:3
O -1.12312 -1.00865 -0.38163
O -2.25249 1.03069 -0.08503
N -0.16318 -0.53242 0.69410
C -1.49242 0.10557 0.02656
C 0.99637 0.00019 0.06772
H 0.94419 0.45120 -0.99745
H 1.62212 -0.92998 -0.07810
H 1.46854 0.88339 0.75382
```

Spin multiplicity: 1
Structure (SMILES): CN1OC1=O
Net charge: 0
HOMO-LUMO gap: 10.99 eV
LUMO level: 0.0273 hartree
HOMO level: -10.246 eV

---

y) This record from the Open Molecules 2025 dataset describes the molecule C2H3NO2. The level of theory is ωB97M-V with the def2-TZVPD basis set.

Geometry as XYZ:
```
8
Properties=species:S:1:pos:R:3
O 0.80870 1.48503 -0.43756
O 0.72515 -2.16141 0.58964
N -0.56319 -0.26172 0.05731
C -0.31498 1.05783 -0.27597
C 0.64121 -1.00993 0.25088
H -1.52510 -0.57176 0.18373
H 1.41992 -0.24814 0.01367
H -1.19171 1.71010 -0.38170
```

Spin multiplicity: 1
Structure (SMILES): O=CNC=O
Net charge: 0
HOMO-LUMO gap: 10.77 eV
LUMO level: 0.0262 hartree
HOMO level: -10.060 eV

---

z) This record from the Open Molecules 2025 dataset describes a cluster of 2 separate species, C2H3NO2 in total. The level of theory is ωB97M-V with the def2-TZVPD basis set.

Geometry as XYZ:
```
8
Properties=species:S:1:pos:R:3
O 0.67954 -0.31082 0.96494
O -0.43335 1.48851 0.36815
N 2.00411 1.26231 -1.96286
C 0.44680 0.56219 -0.04941
C 1.27648 0.88161 -1.12960
H -0.85527 1.34874 1.20674
H 0.98759 -1.22056 0.75519
H -1.02918 -0.38660 -1.39209
```

Spin multiplicity: 1
Net charge: 0
HOMO-LUMO gap (spin up / spin down): 9.60 / 7.46 eV
LUMO level (spin up / spin down): -0.0150 / -0.0286 hartree
HOMO level (spin up / spin down): -10.010 / -8.235 eV

---

Result of the stability comparison: y) is the most stable of them.
........

“Asshole.” He hung up.

Hondo rolled the top of the bag to close it and said, “That’s enough. We need to save some for Hunter, she brought them.”

What comes next are quantum chemistry results, not part of the article:
'''
Record 1
DFT (wB97M-V/def2-TZVPD) results for C2H5PS in the gas phase.

Atoms and positions in Å:
C -2.01 -0.07 -0.04
C -0.78 0.31 -0.29
P 2.15 0.39 -0.07
S 0.58 -0.98 0.01
H -2.70 0.76 0.12
H -2.29 -1.14 0.03
H -0.58 1.35 -0.24
H 2.40 -0.04 1.18
H 3.22 -0.58 -0.70

E_HOMO: -0.3186 Ha
Multiplicity: 1
Largest force on an atom: 0.0559 Eh/bohr
Energy relative to the best compared isomer or geometry (same formula, charge and spin): 0.7168 eV
Kohn-Sham gap: 9.582 eV
SMILES: C=CSP
DFT total energy: -818.67154 hartree


Record 2
DFT (wB97M-V/def2-TZVPD) results for 7 unconnected molecules or ions with the total composition C47H43NO17.

Atoms and positions in Å:
C 3.27 1.73 -0.62
O 2.41 2.62 0.08
C 1.16 2.05 0.40
C 1.26 0.86 1.38
C 0.33 -0.32 1.04
C 1.05 -1.64 0.79
C 1.87 -2.26 1.95
C 3.34 -2.50 1.61
C 4.34 -1.51 2.25
C 4.85 -1.98 3.60
N 5.07 -1.00 4.54
O 5.11 -3.14 3.81
C 1.63 -1.65 3.32
O 0.38 -2.23 3.72
C 0.42 -3.51 3.25
O -0.22 -4.40 3.70
O 1.27 -3.59 2.21
H 2.75 0.80 -0.87
H 4.14 1.48 0.00
H 3.60 2.20 -1.54
H 0.65 1.73 -0.52
H 0.56 2.85 0.83
H 1.05 1.23 2.39
H 2.30 0.53 1.39
H -0.18 -0.07 0.10
H -0.46 -0.43 1.78
H 0.32 -2.40 0.49
H 1.71 -1.49 -0.07
H 3.47 -2.45 0.53
H 3.62 -3.51 1.93
H 3.94 -0.50 2.31
H 5.22 -1.46 1.60
H 4.57 -0.14 4.40
H 5.05 -1.33 5.49
H 1.58 -0.57 3.39
H 2.40 -2.00 4.01
C 2.12 -3.11 -2.51
C 1.52 -4.23 -2.91
C 0.42 -4.19 -3.90
O -0.14 -5.20 -4.26
C 0.02 -2.87 -4.44
C 0.62 -1.75 -4.04
C 1.72 -1.78 -3.04
O 2.26 -0.76 -2.67
H 2.93 -3.11 -1.79
H 1.79 -5.20 -2.53
H -0.78 -2.86 -5.17
H 0.34 -0.77 -4.42
C 6.43 2.79 -5.04
C 5.84 3.40 -6.07
C 4.44 3.08 -6.45
O 3.90 3.62 -7.39
C 3.72 2.06 -5.65
C 4.31 1.45 -4.62
C 5.71 1.77 -4.23
O 6.24 1.22 -3.29
H 7.44 3.00 -4.74
H 6.34 4.14 -6.67
H 2.71 1.84 -5.96
H 3.80 0.70 -4.02
C -5.91 -1.76 -3.34
C -5.11 -1.05 -4.13
C -4.02 -1.69 -4.90
O -3.27 -1.03 -5.60
C -3.85 -3.15 -4.76
C -4.64 -3.87 -3.97
C -5.74 -3.23 -3.20
O -6.46 -3.88 -2.48
H -6.71 -1.32 -2.77
H -5.21 0.03 -4.24
H -3.05 -3.60 -5.34
H -4.53 -4.94 -3.85
C -3.25 1.40 6.65
C -2.26 2.10 6.10
C -1.11 1.42 5.46
O -0.21 2.05 4.93
C -1.09 -0.06 5.47
C -2.08 -0.77 6.02
C -3.23 -0.09 6.66
O -4.13 -0.72 7.17
H -4.09 1.87 7.13
H -2.25 3.18 6.08
H -0.24 -0.53 4.99
H -2.08 -1.85 6.03
C -6.99 1.64 11.65
C -6.00 2.33 11.09
C -4.85 1.65 10.45
O -3.95 2.29 9.94
C -4.84 0.17 10.45
C -5.83 -0.53 11.01
C -6.98 0.15 11.65
O -7.88 -0.48 12.16
H -7.84 2.11 12.12
H -5.99 3.42 11.07
H -3.99 -0.30 9.97
H -5.84 -1.61 11.02
C 0.82 3.84 -8.59
C 0.50 4.98 -9.20
C -0.50 5.01 -10.29
O -0.79 6.05 -10.85
C -1.15 3.73 -10.67
C -0.83 2.59 -10.06
C 0.17 2.56 -8.97
O 0.45 1.52 -8.40
H 1.56 3.78 -7.80
H 0.96 5.92 -8.94
H -1.88 3.78 -11.47
H -1.29 1.64 -10.31

E_HOMO: -0.3627 Ha
Multiplicity: 1
Largest force on an atom: 0.0119 Eh/bohr
Energy relative to the best compared isomer or geometry (same formula, charge and spin): 0.0000 eV
Kohn-Sham gap: 7.907 eV
'''

My insides fluttered. “When’s she coming?”

“Any minute.”

“My hands are clammy.”

“Dig into your chi. Chant one of those sayings you always tell me, like, ‘What is the sound of one hand clapping’, one of those.”

I didn’t have a chance to reply because Hunter opened the door. I hadn’t seen her in over a year but she still looked great. I felt a jumble of confused feelings: guilt, sorrow, joy, affection, and yes, love, but the way one loves a lifelong friend. Well, maybe a little lust, too, because she was so good looking.

Hunter walked over, sat in the chair by Hondo’s desk, and turned it to face me. “Hondo and I talked a lot last night. You’re lucky to have such a good friend.”

“Yes, I am.”

I started to say more but she held up her hand, “Let me say this, then we’ll see where things stand.” I nodded and Hunter continued, “I don’t know what to feel. I was ready last night to get back with you, be with you from now on.” She leaned forward, put her elbows on her knees, and looked at the floor as she clasped her hands together. She raised her head and looked at me, “When that Meadows woman started laying it on last night about you and her, well, my self confidence has never been very high when it comes

to me being able to keep a relationship. I bought everything she said, and she was good, going into detail about how she pleased you, doing this and that,” I started to speak but she held up her hand again, “Let me finish. So she convinced me, and adding that to the surprise of finding her in your home, well it was too much. I left and called Hondo later. I was ready to book a flight back to El Paso when he talked me into coming to his house.”

She sat up in the chair and looked at both of us. She said to me, “You know what the first thing was he said to me?”

I shook my head because my throat was too constricted to talk.

“He said, ‘Quit trying to convince yourself you want Ronny as a lover. It makes it too hard on all of us.’ I sputtered and cried and fumed and stomped around, and Hondo let me. He let me get it all out. We talked a lot after that, and I thought more about it after I left him. And here’s what I think.” She got up from the chair and went to Hondo, held his face and kissed him on the lips, then came to me and did the same. When she sat back down she said, “I love you both, as friends, the way it should be for us. Ronny, you and I never, ever should have gotten involved. Man, that was doomed from the get-go.”

Hondo said, “What she told me last night was you were an idiot around beautiful women.”

Hunter interrupted him and said, “I meant you had strong desires and weak control in that area.”

Hondo said, “I told her you stayed as horny as a forty-balled tiger.”

Hunter nodded, “Yeah, that’s what Mr. Eloquence said. But the point is, that’s my problem to deal with, and for all the years before we got involved, I was fine with it. It was only after I brainwashed myself that you and I were meant to be together that it became a big deal.”

I said, “You’re not wrong, we were meant to be together.”

Hondo said, “Yep, we were.”

Hunter said, “The three of us. Maybe so. Just give me some time to work on it. Now, you have anything to eat?”

'''
Record 1
The following is a quantum chemistry calculation of C9H11N3 in the gas phase in a non-equilibrium geometry, from the OMol25 dataset.

ORCA input file:
```
! wB97M-V def2-TZVPD RIJCOSX def2/J DEFGRID3
* xyz 0 1
N -0.587 1.235 -0.706
H 1.409 0.541 -1.535
C -1.181 2.392 -0.463
H 1.793 -0.724 2.114
H -3.030 2.943 0.724
H 0.372 -2.800 -0.476
H 2.396 0.690 1.446
C 1.740 -1.055 0.015
H 0.654 0.307 1.300
H 2.358 -0.951 -2.008
N -2.503 -3.095 -0.301
C 1.678 -0.079 1.281
H 2.602 -1.717 0.225
C 2.166 -0.254 -1.235
N -1.469 0.309 -0.165
H -3.112 0.392 1.230
C 0.524 -1.771 -0.179
C -2.420 2.260 0.322
C -2.563 0.897 0.491
C -1.139 -1.018 -0.241
H 2.963 0.293 -0.994
H -0.693 3.289 -0.598
C -1.959 -2.083 -0.247
*
```

Properties
structure (SMILES) = CC(C)/C=C(/C#N)n1cccn1
E_LUMO (alpha / beta) = -0.1980 / -0.9670 eV
E_tot = -513.6067 a.u.
frontier orbital gap (alpha / beta) = 7.959 / 7.466 eV
relative energy (zero: lowest compared OMol25 entry of this formula, charge and spin) = 146.4 kcal/mol

natural (NBO) atomic charge list, values in e, 4 entries: -0.24, 0.24, -0.01, 0.20

Record 2
The following is a quantum chemistry calculation of 2 unconnected molecules or ions with the total composition C4H7NO2 in a non-equilibrium geometry, from the OMol25 dataset.

ORCA input file:
```
! wB97M-V def2-TZVPD RIJCOSX def2/J DEFGRID3
* xyz 0 1
N 0.654 -0.736 0.979
H 2.748 1.015 -0.726
C -0.114 -0.576 -0.246
C -1.537 0.817 0.388
O 1.827 0.071 0.793
H 0.135 -0.454 1.787
C 1.816 0.571 -0.460
H -0.978 -2.163 0.163
C 0.751 0.207 -1.195
H -1.100 1.675 0.235
O -0.604 -1.788 -0.653
H 0.663 0.185 -2.261
H -2.421 0.672 -0.194
H -1.840 0.503 1.389
*
```

Properties
E_LUMO = 0.8704 eV
E_tot = -361.6805 a.u.
frontier orbital gap = 8.762 eV
relative energy (zero: lowest compared OMol25 entry of this formula, charge and spin) = 125.7 kcal/mol

natural (NBO) atomic charge list, values in e, 4 entries: -0.36, 0.21, 0.43, -0.67

Record 3
The following is a quantum chemistry calculation of a molecular structure, C49H69ClGeN5P3Sc in a non-equilibrium geometry, from the OMol25 dataset.

ORCA input file:
```
! wB97M-V def2-TZVPD RIJCOSX def2/J DEFGRID3
* xyz 2 2
C -2.239 -3.884 0.108
C -1.301 4.057 2.447
H -3.366 -5.527 0.869
H -3.296 2.651 1.489
C -0.971 3.011 -0.254
H -1.152 -5.692 -0.374
H -1.775 4.646 1.681
H -3.556 1.727 -4.255
H -0.704 -4.989 1.174
H 2.449 3.678 3.626
P -2.512 1.988 -0.664
C -3.259 -4.461 1.083
C -4.030 4.245 0.246
P -1.814 -2.087 0.320
H 1.643 1.218 -1.165
C -4.401 -1.451 -0.408
H 1.664 -2.818 5.986
H 0.147 -2.889 4.067
C -1.194 -1.457 -4.491
H -1.582 -2.315 2.712
H 5.513 -0.713 -1.027
H -2.426 0.774 -3.253
H -4.117 3.029 -2.115
H 0.417 2.014 5.280
N 1.219 1.349 2.767
H 2.339 4.116 -4.251
Cl 0.386 3.222 -6.148
C -1.598 -2.167 -3.362
H 0.783 -1.231 -5.477
C 4.238 3.568 2.444
H 2.794 -1.789 1.393
H 4.902 1.136 0.164
C 0.220 2.279 3.180
C 2.470 -3.712 -0.820
H -5.809 2.471 1.076
H -2.609 -2.249 -2.989
H 2.883 3.205 -1.983
H 4.135 -1.014 0.578
H 1.567 -3.984 -1.375
'''

Hondo reached for the bag of chips, “I’ve got just the thing.”


While we ate the rest of the bag, we filled Hunter in on the case. She was particularly interested in Carl Rakes.

“His tattoos, were they bright?”

“I guess you’d call them that. They were dark ink, but showed real well, shiny, no fading anywhere.”

“Those are Russian prison tattoos. They make the ink from shoe soles and urine.”


“Yeah, they take a shoe sole and burn it until it all turns into soot, then sift it through a handkerchief until it’s a very fine dust, then they mix urine with it. They prefer to use the urine of the person they’re going to work on.”